Input.
-- begin --
Entry 1:
The following is a PBE calculation of crystalline K4LiIO6 at its relaxed geometry, from Materials Project.

Properties
- energy of formation (eV/atom) = -1.656

a = 10.1354 Å, b = 11.4577 Å, c = 13.4823 Å
α = 90.00°, β = 90.00°, γ = 90.00°
With the nearest neighbours (Å) after each atom.
Positions (direct):
K 0.8828 0.4063 0.6910  4 O 2.75-2.97
K 0.8828 0.0937 0.1910  4 O 2.75-2.97
K 0.0643 0.5560 0.8907  5 O 2.64-2.86, 1 Li 2.95
K 0.9357 0.0560 0.6093  5 O 2.64-2.86, 1 Li 2.95
K 0.7936 0.8096 0.3099  4 O 2.54-2.79
K 0.8351 0.9778 0.9381  6 O 2.67-2.99
K 0.0643 0.9440 0.3907  5 O 2.64-2.86, 1 Li 2.95
K 0.5643 0.9440 0.1093  5 O 2.64-2.86, 1 Li 2.95
K 0.4357 0.0560 0.8907  5 O 2.64-2.86, 1 Li 2.95
K 0.3828 0.0937 0.3090  4 O 2.75-2.97
K 0.1649 0.0222 0.0619  6 O 2.67-2.99
K 0.2936 0.8096 0.1901  4 O 2.54-2.79
K 0.2064 0.1904 0.6901  4 O 2.54-2.79
K 0.2064 0.3096 0.1901  4 O 2.54-2.79
K 0.4357 0.4440 0.3907  5 O 2.64-2.86, 1 Li 2.95
K 0.1649 0.4778 0.5619  6 O 2.67-2.99
K 0.7064 0.3096 0.3099  4 O 2.54-2.79
K 0.5643 0.5560 0.6093  5 O 2.64-2.86, 1 Li 2.95
K 0.6172 0.5937 0.1910  4 O 2.75-2.97
K 0.3351 0.5222 0.0619  6 O 2.67-2.99
K 0.7064 0.1904 0.8099  4 O 2.54-2.79
K 0.7936 0.6904 0.8099  4 O 2.54-2.79
K 0.6649 0.0222 0.4381  6 O 2.67-2.99
K 0.1172 0.5937 0.3090  4 O 2.75-2.97
K 0.6172 0.9063 0.6910  4 O 2.75-2.97
K 0.9357 0.4440 0.1093  5 O 2.64-2.86, 1 Li 2.95
K 0.3351 0.9778 0.5619  6 O 2.67-2.99
K 0.2936 0.6904 0.6901  4 O 2.54-2.79
K 0.1172 0.9063 0.8090  4 O 2.75-2.97
K 0.3828 0.4063 0.8090  4 O 2.75-2.97
K 0.8351 0.5222 0.4381  6 O 2.67-2.99
K 0.6649 0.4778 0.9381  6 O 2.67-2.99
Li 0.8011 0.2521 0.5096  4 O 1.95-2.01
Li 0.1989 0.7479 0.4904  4 O 1.95-2.01
Li 0.1989 0.7521 0.9904  4 O 1.95-2.01
Li 0.8011 0.2479 0.0096  4 O 1.95-2.01
Li 0.6989 0.7521 0.5096  4 O 1.95-2.01
Li 0.3011 0.2521 0.9904  4 O 1.95-2.01
Li 0.6989 0.7479 0.0096  4 O 1.95-2.01
Li 0.3011 0.2479 0.4904  4 O 1.95-2.01
I 0.5456 0.2544 0.6015  6 O 1.91-1.95
I 0.0456 0.2456 0.3985  6 O 1.91-1.95
I 0.4544 0.7456 0.3985  6 O 1.91-1.95
I 0.5456 0.2456 0.1015  6 O 1.91-1.95
I 0.9544 0.7456 0.1015  6 O 1.91-1.95
I 0.0456 0.2544 0.8985  6 O 1.91-1.95
I 0.9544 0.7544 0.6015  6 O 1.91-1.95
I 0.4544 0.7544 0.8985  6 O 1.91-1.95
O 0.6134 0.6514 0.4054  1 I 1.94, 1 Li 2.01
O 0.7979 0.6584 0.6046  1 I 1.93, 1 Li 1.95
O 0.5291 0.6667 0.0082  1 I 1.94, 1 Li 1.96
O 0.0291 0.8333 0.9918  1 I 1.94, 1 Li 1.96
O 0.6393 0.1488 0.0062  1 I 1.95, 1 Li 1.99
O 0.4709 0.1667 0.4918  1 I 1.94, 1 Li 1.96
O 0.9709 0.3333 0.5082  1 I 1.94, 1 Li 1.96
O 0.7021 0.3416 0.1046  1 I 1.93, 1 Li 1.95
O 0.8866 0.3486 0.9054  1 I 1.94, 1 Li 2.01
O 0.1134 0.8486 0.5946  1 I 1.94, 1 Li 2.01
O 0.3903 0.8537 0.7949  1 I 1.92
O 0.3607 0.8512 0.9938  1 I 1.95, 1 Li 1.99
O 0.2021 0.1584 0.8954  1 I 1.93, 1 Li 1.95
O 0.5329 0.8498 0.3045  1 I 1.91
O 0.2979 0.6584 0.8954  1 I 1.93, 1 Li 1.95
O 0.6097 0.1463 0.2051  1 I 1.92
O 0.7021 0.1584 0.6046  1 I 1.93, 1 Li 1.95
O 0.8607 0.8512 0.5062  1 I 1.95, 1 Li 1.99
O 0.6097 0.3537 0.7051  1 I 1.92
O 0.6134 0.8486 0.9054  1 I 1.94, 1 Li 2.01
O 0.3866 0.1514 0.0946  1 I 1.94, 1 Li 2.01
O 0.4709 0.3333 0.9918  1 I 1.94, 1 Li 1.96
O 0.1097 0.3537 0.7949  1 I 1.92
O 0.7979 0.8416 0.1046  1 I 1.93, 1 Li 1.95
O 0.9671 0.3498 0.3045  1 I 1.91
O 0.8903 0.8537 0.7051  1 I 1.92
O 0.9671 0.1502 0.8045  1 I 1.91
O 0.8866 0.1514 0.4054  1 I 1.94, 1 Li 2.01
O 0.1393 0.3512 0.9938  1 I 1.95, 1 Li 1.99
O 0.8903 0.6463 0.2051  1 I 1.92
O 0.2979 0.8416 0.3954  1 I 1.93, 1 Li 1.95
O 0.0291 0.6667 0.4918  1 I 1.94, 1 Li 1.96
O 0.1097 0.1463 0.2949  1 I 1.92
O 0.5329 0.6502 0.8045  1 I 1.91
O 0.4671 0.3498 0.1955  1 I 1.91
O 0.0329 0.6502 0.6955  1 I 1.91
O 0.3866 0.3486 0.5946  1 I 1.94, 1 Li 2.01
O 0.9709 0.1667 0.0082  1 I 1.94, 1 Li 1.96
O 0.0329 0.8498 0.1955  1 I 1.91
O 0.4671 0.1502 0.6955  1 I 1.91
O 0.5291 0.8333 0.5082  1 I 1.94, 1 Li 1.96
O 0.2021 0.3416 0.3954  1 I 1.93, 1 Li 1.95
O 0.1393 0.1488 0.4938  1 I 1.95, 1 Li 1.99
-- stop --

Job.
It remains to copy the lines earlier on up to the one that holds "0.2979 0.8416", that line included.

Response.
Entry 1:
The following is a PBE calculation of crystalline K4LiIO6 at its relaxed geometry, from Materials Project.

Properties
- energy of formation (eV/atom) = -1.656

a = 10.1354 Å, b = 11.4577 Å, c = 13.4823 Å
α = 90.00°, β = 90.00°, γ = 90.00°
With the nearest neighbours (Å) after each atom.
Positions (direct):
K 0.8828 0.4063 0.6910  4 O 2.75-2.97
K 0.8828 0.0937 0.1910  4 O 2.75-2.97
K 0.0643 0.5560 0.8907  5 O 2.64-2.86, 1 Li 2.95
K 0.9357 0.0560 0.6093  5 O 2.64-2.86, 1 Li 2.95
K 0.7936 0.8096 0.3099  4 O 2.54-2.79
K 0.8351 0.9778 0.9381  6 O 2.67-2.99
K 0.0643 0.9440 0.3907  5 O 2.64-2.86, 1 Li 2.95
K 0.5643 0.9440 0.1093  5 O 2.64-2.86, 1 Li 2.95
K 0.4357 0.0560 0.8907  5 O 2.64-2.86, 1 Li 2.95
K 0.3828 0.0937 0.3090  4 O 2.75-2.97
K 0.1649 0.0222 0.0619  6 O 2.67-2.99
K 0.2936 0.8096 0.1901  4 O 2.54-2.79
K 0.2064 0.1904 0.6901  4 O 2.54-2.79
K 0.2064 0.3096 0.1901  4 O 2.54-2.79
K 0.4357 0.4440 0.3907  5 O 2.64-2.86, 1 Li 2.95
K 0.1649 0.4778 0.5619  6 O 2.67-2.99
K 0.7064 0.3096 0.3099  4 O 2.54-2.79
K 0.5643 0.5560 0.6093  5 O 2.64-2.86, 1 Li 2.95
K 0.6172 0.5937 0.1910  4 O 2.75-2.97
K 0.3351 0.5222 0.0619  6 O 2.67-2.99
K 0.7064 0.1904 0.8099  4 O 2.54-2.79
K 0.7936 0.6904 0.8099  4 O 2.54-2.79
K 0.6649 0.0222 0.4381  6 O 2.67-2.99
K 0.1172 0.5937 0.3090  4 O 2.75-2.97
K 0.6172 0.9063 0.6910  4 O 2.75-2.97
K 0.9357 0.4440 0.1093  5 O 2.64-2.86, 1 Li 2.95
K 0.3351 0.9778 0.5619  6 O 2.67-2.99
K 0.2936 0.6904 0.6901  4 O 2.54-2.79
K 0.1172 0.9063 0.8090  4 O 2.75-2.97
K 0.3828 0.4063 0.8090  4 O 2.75-2.97
K 0.8351 0.5222 0.4381  6 O 2.67-2.99
K 0.6649 0.4778 0.9381  6 O 2.67-2.99
Li 0.8011 0.2521 0.5096  4 O 1.95-2.01
Li 0.1989 0.7479 0.4904  4 O 1.95-2.01
Li 0.1989 0.7521 0.9904  4 O 1.95-2.01
Li 0.8011 0.2479 0.0096  4 O 1.95-2.01
Li 0.6989 0.7521 0.5096  4 O 1.95-2.01
Li 0.3011 0.2521 0.9904  4 O 1.95-2.01
Li 0.6989 0.7479 0.0096  4 O 1.95-2.01
Li 0.3011 0.2479 0.4904  4 O 1.95-2.01
I 0.5456 0.2544 0.6015  6 O 1.91-1.95
I 0.0456 0.2456 0.3985  6 O 1.91-1.95
I 0.4544 0.7456 0.3985  6 O 1.91-1.95
I 0.5456 0.2456 0.1015  6 O 1.91-1.95
I 0.9544 0.7456 0.1015  6 O 1.91-1.95
I 0.0456 0.2544 0.8985  6 O 1.91-1.95
I 0.9544 0.7544 0.6015  6 O 1.91-1.95
I 0.4544 0.7544 0.8985  6 O 1.91-1.95
O 0.6134 0.6514 0.4054  1 I 1.94, 1 Li 2.01
O 0.7979 0.6584 0.6046  1 I 1.93, 1 Li 1.95
O 0.5291 0.6667 0.0082  1 I 1.94, 1 Li 1.96
O 0.0291 0.8333 0.9918  1 I 1.94, 1 Li 1.96
O 0.6393 0.1488 0.0062  1 I 1.95, 1 Li 1.99
O 0.4709 0.1667 0.4918  1 I 1.94, 1 Li 1.96
O 0.9709 0.3333 0.5082  1 I 1.94, 1 Li 1.96
O 0.7021 0.3416 0.1046  1 I 1.93, 1 Li 1.95
O 0.8866 0.3486 0.9054  1 I 1.94, 1 Li 2.01
O 0.1134 0.8486 0.5946  1 I 1.94, 1 Li 2.01
O 0.3903 0.8537 0.7949  1 I 1.92
O 0.3607 0.8512 0.9938  1 I 1.95, 1 Li 1.99
O 0.2021 0.1584 0.8954  1 I 1.93, 1 Li 1.95
O 0.5329 0.8498 0.3045  1 I 1.91
O 0.2979 0.6584 0.8954  1 I 1.93, 1 Li 1.95
O 0.6097 0.1463 0.2051  1 I 1.92
O 0.7021 0.1584 0.6046  1 I 1.93, 1 Li 1.95
O 0.8607 0.8512 0.5062  1 I 1.95, 1 Li 1.99
O 0.6097 0.3537 0.7051  1 I 1.92
O 0.6134 0.8486 0.9054  1 I 1.94, 1 Li 2.01
O 0.3866 0.1514 0.0946  1 I 1.94, 1 Li 2.01
O 0.4709 0.3333 0.9918  1 I 1.94, 1 Li 1.96
O 0.1097 0.3537 0.7949  1 I 1.92
O 0.7979 0.8416 0.1046  1 I 1.93, 1 Li 1.95
O 0.9671 0.3498 0.3045  1 I 1.91
O 0.8903 0.8537 0.7051  1 I 1.92
O 0.9671 0.1502 0.8045  1 I 1.91
O 0.8866 0.1514 0.4054  1 I 1.94, 1 Li 2.01
O 0.1393 0.3512 0.9938  1 I 1.95, 1 Li 1.99
O 0.8903 0.6463 0.2051  1 I 1.92
O 0.2979 0.8416 0.3954  1 I 1.93, 1 Li 1.95